March Snow

Dear March,

You have done an excellent job coming in as a lion.  Thank you for the wonderful snowstorm.  You gave us a day of dense, packable snow that we used to make snow balls, snowmen, snow penguins, and snow bunnies. 


My little snowmen

mailbox snowman

### Attached: records of crystals
# 1
Calculated powder XRD pattern of Ni3O4 for Cu Kα, 1.54184 Å, from a GGA+U-relaxed structure.
No peak broadening, texture or thermal motion is included.

Cell and atoms:
Lattice parameters (Å, degrees): 5.118 5.118 2.877 90.00 90.00 108.24
Fractional positions:
1 Ni 0.000 0.000 0.000
2 Ni 0.000 0.500 0.500
3 Ni 0.500 0.000 0.500
4 O 0.206 0.206 0.500
5 O 0.226 0.774 0.000
6 O 0.774 0.226 0.000
7 O 0.794 0.794 0.500

Main lines, in order of rising 2θ (10° ≤ 2θ ≤ 90°):
2θ (°)  Rel. int.
18.25  67.2
21.43  14.3
36.98  31.4
38.07  27.1
43.61  100.0
63.40  36.4



# 2
Calculated powder XRD pattern of In2W2O7 for Cu Kα, 1.54184 Å, from a GGA+U-relaxed structure.
No peak broadening, texture or thermal motion is included.

Cell and atoms:
Lattice parameters (Å, degrees): 7.458 7.458 7.458 60.00 60.00 60.00
Fractional positions:
1 In 0.000 0.000 0.000
2 In 0.000 0.000 0.500
3 In 0.000 0.500 0.000
4 In 0.500 0.000 0.000
5 W 0.000 0.500 0.500
6 W 0.500 0.000 0.500
7 W 0.500 0.500 0.000
8 W 0.500 0.500 0.500
9 O 0.125 0.125 0.125
10 O 0.177 0.177 0.573
11 O 0.177 0.573 0.177
12 O 0.177 0.573 0.573
13 O 0.427 0.427 0.823
14 O 0.427 0.823 0.427
15 O 0.427 0.823 0.823
16 O 0.573 0.177 0.177
17 O 0.573 0.177 0.573
18 O 0.573 0.573 0.177
19 O 0.823 0.427 0.427
20 O 0.823 0.427 0.823
21 O 0.823 0.823 0.427
22 O 0.875 0.875 0.875

Main lines, in order of rising 2θ (10° ≤ 2θ ≤ 90°):
2θ (°)  Rel. int.
29.33  100.0
34.00  36.2
48.84  44.4
58.00  43.7
79.16  17.7
81.65  15.3

* * * * *

Starting from a structure optimized by DFT (PBE), the PXRD pattern of Sr2CaNiH6 was calculated for Cu Kα (weighted mean of Kα1 and Kα2).

Main lines, by intensity (15 to 90 degrees two-theta):
| d_spacing | 2θ (°) | I_rel |
| --- | --- | --- |
| 2.678 | 33.46 | 100 |
| 3.639 | 24.46 | 87 |
| 2.479 | 36.23 | 78 |
| 5.867 | 15.10 | 51 |
| 1.505 | 61.63 | 32 |
| 1.819 | 50.14 | 32 |
| 2.436 | 36.89 | 31 |
| 2.157 | 41.88 | 23 |

Lex made a snowman for the mailbox.


Eve wanted a penguin, so we all worked together on that one.

Then you gave us a day with light fluffy snow that made the world look beautiful.  You gave us over two feet of snow that provided me with an excellent workout each day, especially shoveling Wednesday’s heavy snow and then walking through very deep snow to dig out my heat intake thing.  I learned, fortunately not the hard way, that it’s important to keep that thing clear.

front door snow

• Someone pasted data records at this point:
'''
This entry pairs a crystal structure of Tl2GeTe2 with its theoretical powder X-ray diffraction pattern. Radiation: CuKα. Structure: a cell relaxed with GGA-PBE.

Largest 10 diffraction maxima, low angle first, 2θ from 15° to 90°:
hkl 0 6 1, 26.92 deg, intensity 55; hkl 0 2 2, 27.13 deg, intensity 40; hkl 1 5 0, 28.36 deg, intensity 100; hkl 1 1 2, 33.39 deg, intensity 16; hkl 0 8 1, 34.28 deg, intensity 23; hkl 1 3 2, 35.27 deg, intensity 55; hkl 1 5 2, 38.81 deg, intensity 28; hkl 2 0 0, 41.23 deg, intensity 27; hkl 2 2 2, 50.03 deg, intensity 23; hkl 0 0 4, 53.32 deg, intensity 17

Atomic structure:
```
data_Tl2GeTe2
_space_group_name_H-M_alt 'C m c 21'
_space_group_IT_number 36
_cell_length_a 4.3786
_cell_length_b 22.6294
_cell_length_c 6.8707
_cell_angle_alpha 90.00
_cell_angle_beta 90.00
_cell_angle_gamma 90.00
loop_
_space_group_symop_operation_xyz
'x,y,z'
'-x,-y,z+1/2'
'-x,y,z'
'x,-y,z+1/2'
'x+1/2,y+1/2,z'
'-x+1/2,-y+1/2,z+1/2'
'-x+1/2,y+1/2,z'
'x+1/2,-y+1/2,z+1/2'
loop_
_atom_site_label
_atom_site_type_symbol
_atom_site_fract_x
_atom_site_fract_y
_atom_site_fract_z
Tl1 Tl 0.0000 0.0312 0.0000
Tl2 Tl 0.0000 0.1999 0.2589
Ge1 Ge 0.0000 0.4007 0.2028
Te1 Te 0.0000 0.1751 0.7733
Te2 Te 0.0000 0.4081 0.8067
```

This entry pairs a crystal structure of Tb5Ru2Rh with its theoretical powder X-ray diffraction pattern. Radiation: CuKα. Structure: a cell relaxed with GGA-PBE.

Largest 10 diffraction maxima, low angle first, 2θ from 15° to 90°:
hkl 1 1 4, 30.87 deg, intensity 16; hkl 2 1 3, 33.29 deg, intensity 100; hkl 2 2 0, 34.34 deg, intensity 16; hkl 2 0 4, 35.43 deg, intensity 47; hkl 3 1 0, 38.55 deg, intensity 47; hkl 2 1 5, 42.45 deg, intensity 12; hkl 0 0 8, 52.57 deg, intensity 14; hkl 4 1 3, 54.94 deg, intensity 18; hkl 3 3 4, 59.35 deg, intensity 16; hkl 3 1 8, 67.05 deg, intensity 13

Atomic structure:
```
data_Tb5Ru2Rh
_space_group_name_H-M_alt 'I 4/m c m'
_space_group_IT_number 140
_space_group_name_Hall '-I 4 2c'
_cell_length_a 7.3858
_cell_length_b 7.3858
_cell_length_c 13.9265
_cell_angle_alpha 90.00
_cell_angle_beta 90.00
_cell_angle_gamma 90.00
loop_
_atom_site_label
_atom_site_type_symbol
_atom_site_fract_x
_atom_site_fract_y
_atom_site_fract_z
Tb1 Tb 0.0000 0.0000 0.0000
Tb2 Tb 0.1734 0.3266 0.1416
Ru1 Ru 0.1271 0.3729 0.5000
Rh1 Rh 0.0000 0.0000 0.2500
```

This entry pairs a crystal structure of LaSnH8Ir2 with its theoretical powder X-ray diffraction pattern. Radiation: CuKα. Structure: a cell relaxed with GGA-PBE.

Largest 10 diffraction maxima, low angle first, 2θ from 15° to 90°:
hkl 1 0 4, 28.78 deg, intensity 100; hkl 0 1 5, 32.49 deg, intensity 16; hkl 1 1 0, 36.41 deg, intensity 68; hkl 1 0 7, 40.91 deg, intensity 12; hkl 0 1 8, 45.50 deg, intensity 14; hkl 0 2 4, 47.06 deg, intensity 27; hkl 1 1 9, 59.43 deg, intensity 12; hkl 2 1 4, 60.91 deg, intensity 25; hkl 3 0 0, 65.51 deg, intensity 12; hkl 2 2 0, 77.35 deg, intensity 12

Atomic structure:
```
data_LaSnH8Ir2
_space_group_name_H-M_alt 'R -3 m'
'''

This snow bank greeted up Thursday morning when we went out to shovel again.

climbing lex

Lex had to climb over the bank just to get out the door.


Notice something different about that car Lex is clearing off? More to come later…


Eve brought Bitty Baby out to play. I’m such a mom (or dork) that I had to stop and put her hood up and fix her jacket.


Eve took a few minutes to recline on the giant snow bank by the tree.


We’ve got a bit of snow out there!


Lex is getting pretty good at helping with the shoveling. He doesn’t love it, but he does it. Sometimes Eve helps too. Today they worked hard to get the end of the driveway clear.

back door snow

I tried to go out the back door today, but no luck. This is what happens when we don’t shovel.


The intake thing is in there somewhere.


Our propane tanks are buried in that mountain. I figured it would be good to dig them out as well. I got the tops cleared off and found we had plenty of propane so I stopped. It was COLD today!

The district canceled school for two days, which wasn’t the best timing since this was my first solo week in kindergarten, but we’re all taking advantage of the break.  Tuesday was a tough day at school and I was ready to lay low Wednesday.  The kids both have colds and we were facing a very hectic week, so your lovely snow provided a forced slow down.  They are both feeling much better this afternoon.

Now that we’ve had this storm, your final hurrah, could you please show us the lamb.  Just last week I taught my kids the saying, “March comes in like a lion and out like a lamb,” and as much as we’ve all enjoyed the lion, we are ready for a little lamb.


Winter and Spring table decorations. We just can’t decide which one is appropriate!


Tessa, ready for some sunshine.

Do you think March reads my blog?

The Daddy Unit is Proud

Spoiler alert: if you have not seen Star Trek: The Motion Picture, what’s wrong with you? No, I mean, this will ruin the ending for you if you keep reading.  So, correct yourself by going and watching it now.  It is not the greatest movie by any stretch, and not the best of the ST movies by far, but it gets better as it goes and has a great ending… if you are a space geek. Plus, it is fun to MST3K some of the effects and excessively long fly-by sequences.  Of course, it helps if you are a fan of the original series. That said, if you are still reading, you do so at your own risk.  So, Lex and I cuddled up on the couch and watched it Saturday night, and when the big reveal of V’Ger comes at the end, he nailed it!  I whispered, “There it is! Do you recognize it?” “I don’t think so,” he said. “You’ve seen it before,” I assured him quietly. After many seconds of silence, but well before they showed the tarnished label, he said, “maybe they are just mispronouncing Voyager.” My bursting geek pride almost launched him across the room!  All the pains of parenting are worth it for moments like this.  Of course, you have to be a space geek to appreciate this particular moment, but both of us are, so such things work out well. =)